**Job**
Find "_cell_angle_gamma 90.20" and "0.310 0.183" in the contents underneath, and transcribe these two lines and those between.

**File**
<<<
Record 1
A geometry-optimized Li4MnCrO6 structure. Source: Materials Project, functional PBE+U.

Structure (CIF):
```
data_Li4MnCrO6
_symmetry_space_group_name_H-M 'P 1'
_symmetry_Int_Tables_number 1
_cell_length_a 5.014
_cell_length_b 8.731
_cell_length_c 9.776
_cell_angle_alpha 98.54
_cell_angle_beta 94.55
_cell_angle_gamma 90.10
loop_
_symmetry_equiv_pos_as_xyz
'x,y,z'
loop_
_atom_site_label
_atom_site_type_symbol
_atom_site_fract_x
_atom_site_fract_y
_atom_site_fract_z
Li1 Li 0.000 0.000 0.000
Li2 Li 0.001 0.330 0.998
Li3 Li 0.010 0.659 0.999
Li4 Li 0.128 0.455 0.749
Li5 Li 0.246 0.248 0.500
Li6 Li 0.256 0.578 0.500
Li7 Li 0.262 0.911 0.498
Li8 Li 0.381 0.703 0.249
Li9 Li 0.497 0.499 0.998
Li10 Li 0.506 0.827 0.999
Li11 Li 0.509 0.160 0.996
Li12 Li 0.625 0.955 0.749
Li13 Li 0.743 0.745 0.499
Li14 Li 0.756 0.080 0.498
Li15 Li 0.762 0.414 0.501
Li16 Li 0.878 0.205 0.249
Mn1 Mn 0.131 0.122 0.750
Mn2 Mn 0.627 0.619 0.748
Mn3 Mn 0.629 0.288 0.749
Mn4 Mn 0.879 0.871 0.249
Cr1 Cr 0.121 0.790 0.749
Cr2 Cr 0.373 0.368 0.248
Cr3 Cr 0.386 0.037 0.250
Cr4 Cr 0.881 0.541 0.248
O1 O 0.038 0.722 0.360
O2 O 0.072 0.043 0.361
O3 O 0.085 0.402 0.363
O4 O 0.172 0.507 0.134
O5 O 0.181 0.867 0.138
O6 O 0.222 0.189 0.137
O7 O 0.290 0.977 0.862
O8 O 0.325 0.295 0.860
O9 O 0.327 0.654 0.862
O10 O 0.432 0.115 0.638
O11 O 0.432 0.755 0.636
O12 O 0.467 0.435 0.638
O13 O 0.535 0.218 0.361
O14 O 0.578 0.542 0.360
O15 O 0.579 0.900 0.363
O16 O 0.680 0.366 0.137
O17 O 0.684 0.006 0.136
O18 O 0.716 0.690 0.136
O19 O 0.788 0.472 0.860
O20 O 0.826 0.152 0.862
O21 O 0.829 0.791 0.860
O22 O 0.927 0.612 0.636
O23 O 0.932 0.256 0.636
O24 O 0.974 0.935 0.638
```

size of the total moment = 0.417 μB/atom
formation energy from the elements = -2.206 eV per atom
energy relative to the lowest polymorph listed for this composition = 38 meV/atom

Record 2
A geometry-optimized Li9Mn7Cr12O48 structure. Source: Materials Project, functional PBE+U.

Structure (CIF):
```
data_Li9Mn7Cr12O48
_symmetry_space_group_name_H-M 'P 1'
_symmetry_Int_Tables_number 1
_cell_length_a 5.148
_cell_length_b 10.358
_cell_length_c 17.435
_cell_angle_alpha 90.12
_cell_angle_beta 90.52
_cell_angle_gamma 90.20
loop_
_symmetry_equiv_pos_as_xyz
'x,y,z'
loop_
_atom_site_label
_atom_site_type_symbol
_atom_site_fract_x
_atom_site_fract_y
_atom_site_fract_z
Li1 Li 0.000 0.000 0.000
Li2 Li 0.002 0.323 0.333
Li3 Li 0.012 0.154 0.502
Li4 Li 0.016 0.831 0.830
Li5 Li 0.159 0.324 0.782
Li6 Li 0.355 0.828 0.280
Li7 Li 0.497 0.322 0.233
Li8 Li 0.502 0.654 0.561
Li9 Li 0.513 0.825 0.730
Mn1 Mn 0.005 0.656 0.002
Mn2 Mn 0.007 0.504 0.505
Mn3 Mn 0.506 0.497 0.060
Mn4 Mn 0.507 0.008 0.556
Mn5 Mn 0.507 0.147 0.058
Mn6 Mn 0.660 0.325 0.779
Mn7 Mn 0.853 0.827 0.283
Cr1 Cr 0.034 0.106 0.186
Cr2 Cr 0.034 0.547 0.188
Cr3 Cr 0.038 0.827 0.476
Cr4 Cr 0.476 0.326 0.586
Cr5 Cr 0.479 0.605 0.875
Cr6 Cr 0.482 0.048 0.875
Cr7 Cr 0.535 0.103 0.376
Cr8 Cr 0.535 0.548 0.376
Cr9 Cr 0.537 0.826 0.088
Cr10 Cr 0.975 0.048 0.685
Cr11 Cr 0.977 0.326 0.975
Cr12 Cr 0.979 0.603 0.687
O1 O 0.097 0.966 0.233
O2 O 0.098 0.686 0.234
O3 O 0.102 0.827 0.382
O4 O 0.149 0.952 0.739
O5 O 0.157 0.569 0.608
O6 O 0.158 0.081 0.608
O7 O 0.158 0.458 0.997
O8 O 0.163 0.200 0.997
O9 O 0.163 0.697 0.741
O10 O 0.206 0.684 0.901
O11 O 0.209 0.330 0.529
O12 O 0.211 0.972 0.900
O13 O 0.307 0.468 0.162
O14 O 0.310 0.183 0.160
O15 O 0.310 0.834 0.534
O16 O 0.350 0.695 0.067
O17 O 0.351 0.196 0.323
O18 O 0.355 0.580 0.454
O19 O 0.355 0.954 0.067
O20 O 0.358 0.069 0.457
O21 O 0.361 0.452 0.322
O22 O 0.411 0.327 0.680
O23 O 0.416 0.187 0.828
O24 O 0.416 0.466 0.829
O25 O 0.600 0.966 0.329
O26 O 0.601 0.685 0.329
O27 O 0.609 0.825 0.181
O28 O 0.653 0.191 0.565
O29 O 0.660 0.571 0.955
O30 O 0.660 0.699 0.824
O31 O 0.661 0.082 0.954
O32 O 0.661 0.953 0.821
O33 O 0.666 0.451 0.565
O34 O 0.693 0.969 0.655
O35 O 0.708 0.325 0.034
O36 O 0.711 0.681 0.662
O37 O 0.800 0.825 0.030
O38 O 0.804 0.182 0.401
O39 O 0.813 0.469 0.404
O40 O 0.850 0.953 0.497
>>>

**Response**
_cell_angle_gamma 90.20
loop_
_symmetry_equiv_pos_as_xyz
'x,y,z'
loop_
_atom_site_label
_atom_site_type_symbol
_atom_site_fract_x
_atom_site_fract_y
_atom_site_fract_z
Li1 Li 0.000 0.000 0.000
Li2 Li 0.002 0.323 0.333
Li3 Li 0.012 0.154 0.502
Li4 Li 0.016 0.831 0.830
Li5 Li 0.159 0.324 0.782
Li6 Li 0.355 0.828 0.280
Li7 Li 0.497 0.322 0.233
Li8 Li 0.502 0.654 0.561
Li9 Li 0.513 0.825 0.730
Mn1 Mn 0.005 0.656 0.002
Mn2 Mn 0.007 0.504 0.505
Mn3 Mn 0.506 0.497 0.060
Mn4 Mn 0.507 0.008 0.556
Mn5 Mn 0.507 0.147 0.058
Mn6 Mn 0.660 0.325 0.779
Mn7 Mn 0.853 0.827 0.283
Cr1 Cr 0.034 0.106 0.186
Cr2 Cr 0.034 0.547 0.188
Cr3 Cr 0.038 0.827 0.476
Cr4 Cr 0.476 0.326 0.586
Cr5 Cr 0.479 0.605 0.875
Cr6 Cr 0.482 0.048 0.875
Cr7 Cr 0.535 0.103 0.376
Cr8 Cr 0.535 0.548 0.376
Cr9 Cr 0.537 0.826 0.088
Cr10 Cr 0.975 0.048 0.685
Cr11 Cr 0.977 0.326 0.975
Cr12 Cr 0.979 0.603 0.687
O1 O 0.097 0.966 0.233
O2 O 0.098 0.686 0.234
O3 O 0.102 0.827 0.382
O4 O 0.149 0.952 0.739
O5 O 0.157 0.569 0.608
O6 O 0.158 0.081 0.608
O7 O 0.158 0.458 0.997
O8 O 0.163 0.200 0.997
O9 O 0.163 0.697 0.741
O10 O 0.206 0.684 0.901
O11 O 0.209 0.330 0.529
O12 O 0.211 0.972 0.900
O13 O 0.307 0.468 0.162
O14 O 0.310 0.183 0.160